University of Virginia Library



[Nothing I in secret do]

Whatsoever ye have spoken in darkness shall, &c. —xii. 3.

Nothing I in secret do,
Nothing I in secret say,


Walk in man and angels' view,
Blameless walk in open day,
Follow'd by His piercing eye
Who to faith alone appears,
Still I think—the Judge is nigh,
Still reflect—the Witness hears.


[See the source of human care!]

• Calculated crystals from another source follow:
********
*P*
Density functional theory data (GGA-PBE) for a relaxed structure of AcThCu4.

abc: 4.3451 7.6013 7.6657
angles: 90.00 90.00 90.00
With the nearest neighbours (Å) after each atom.
Space group Immm (No. 71)
Asymmetric unit:
Ac  0.0000  0.0000  0.0000  12 Cu 3.13-3.21
Th  0.0000  0.0000  0.5000  12 Cu 3.11-3.24
Cu  0.0000  0.3342  0.2385  3 Cu 2.52-2.53

*Q*
Density functional theory data (GGA-PBE) for a relaxed structure of AcThCu4.

abc: 7.7336 7.7336 7.7336
angles: 90.00 90.00 90.00
With the nearest neighbours (Å) after each atom.
Space group F-43m (No. 216)
Asymmetric unit:
Ac  0.0000  0.0000  0.0000  12 Cu 3.21, 4 Th 3.35
Th  0.2500  0.2500  0.2500  12 Cu 3.20, 4 Ac 3.35
Cu  0.1234  0.1234  0.6234  6 Cu 2.70-2.77

*P* has the most favorable energy; the next structure is 218 meV/atom above.

~~~~~

! PBE LaTb5Er, relaxed; values from VASP
&SYSTEM
  ibrav = 0, nat = 14, ntyp = 3
/
ATOMIC_SPECIES
La 138.91 La.upf
Tb 158.93 Tb.upf
Er 167.26 Er.upf
CELL_PARAMETERS angstrom
5.8958 -3.4053 0.0000
5.8958 3.4053 0.0000
-4.3941 0.0000 11.4748
ATOMIC_POSITIONS angstrom
La 2.6002 3.1931 8.6061
La 4.7973 -3.1931 2.8687
Tb 0.0019 0.8704 8.6492
Tb 2.7602 1.5511 5.7356
Tb 6.8344 1.5511 0.0018
Tb 4.7973 0.6444 2.8687
Tb 2.1990 -0.8704 2.9118
Tb 5.1985 0.8704 8.5630
Tb 2.6002 -0.6444 8.6061
Tb 0.5631 -1.5511 11.4730
Tb 4.6373 -1.5511 5.7392
Tb 7.3955 -0.8704 2.8256
Er 2.9479 1.7027 0.0000
Er 0.7508 -1.7027 5.7374
! - Energy of formation from the pure elements: 0.192 eV per atom
! - Magnetic moment: 0.000 μB per formula unit

~~~~~

Pm3Ge6IrPt2 | GGA-PBE | relaxed

The structure in extended XYZ format:
```
12
Lattice="5.984 0.000 0.000 -2.992 5.182 0.000 0.000 0.000 8.031" Properties=species:S:1:pos:R:3 pbc="T T T"
Pt 2.992 1.727 7.825
Pt 0.000 3.455 0.206
Ge 2.992 3.229 5.672
Ge 1.300 4.206 2.358
Ge -1.300 4.206 2.358
Ge 4.293 0.977 5.672
Ge 0.000 1.953 2.358
Ge 1.692 0.977 5.672
Ir 0.000 0.000 4.015
Pm 0.000 0.000 0.000
Pm 2.992 1.727 2.882
Pm 0.000 3.455 5.149
```

For the total energy, the calculation gives -5.66 eV/atom. Its space group is P-3m1, No. 164. For the formation energy, the calculation gives -419.5 meV/atom.



Hf5CdRu4 | GGA-PBE | relaxed

The structure in extended XYZ format:
```
10
Lattice="-1.484 -1.606 2.389 -1.063 -2.191 -2.133 14.121 -9.303 2.518" Properties=species:S:1:pos:R:3 pbc="T T T"
Hf 8.474 -8.320 1.866
Hf 0.419 -3.014 0.429
Hf 5.787 -6.550 1.387
Hf 3.100 -4.780 0.907
Hf 11.155 -10.086 2.344
Ru 8.401 -5.535 1.498
Ru 5.720 -3.768 1.020
Ru 3.020 -1.990 0.539
Ru 11.101 -7.313 1.979
Cd 0.000 0.000 0.000
```
********

Are not five sparrows sold for two farthings, &c. —xii. 6, 7.

See the source of human care!
Man will not on God rely,
God who counts his every hair
Doth his every want supply,
Loves the works His hands have wrought;
None without His nod can fall,
Not a sparrow is forgot,
God preserves and cares for all.
Him we foolishly mistrust,
Him ungratefully forget,
Doubt if God be true and just,
Kind to give the promised meat.
But His word if sinners claim
He cannot unfaithful prove,
He continues still the same,
Wisdom, Power, and Truth, and Love.
Who His wisdom can surprise?
Who can overrule His power?
Providence with all its eyes
Guides us in the dangerous hour;
Every word of His is sure,
Mercy bears us in its hands;
Then we stand in Christ secure
Long as our Supporter stands.



[Whom the Lord of life denies]

He that denieth Me before men shall be, &c. —xii. 9.

Whom the Lord of life denies,
Justly, finally forsakes,
Satan claims as lawful prize,
To his place of torment takes.


[Jesus declines the umpire's place]

Who made Me a judge or a divider over, &c. —xii. 14.

Jesus declines the umpire's place
Whose word had made their difference end,
To teach the stewards of His grace
Above all earthly views to' ascend;
True ministers of Christ the Lord
Should only live to preach His word.


[Our life on needful things depends]

A man's life consisteth not in the abundance, &c. —xii. 15.

Our life on needful things depends,
Not on superfluous treasures vain:
A little serves for nature's ends;
And if a world of wealth we gain,
We nothing gain with all our care
But food to eat and clothes to wear.


[By riches lawfully acquired]

What shall I do, because I have no room, &c. —xii. 17.

By riches lawfully acquired
The miserable owner's vex'd;
Possess'd of all his heart desired,
Yet still encumber'd and perplex'd.
Poor in abundance, he complains
Of wealth preserved by toil and cost,
And anxious to secure his gains
Regrets his peace for ever lost.
Not such the riches of His grace
Which God hath to His people given:
Riches which at our wish increase,
Enlarge, and fill the heart with heaven:


Distributing we find them grow,
Preserved and multiplied by use,
Which we (who their true value know,
And always love) can never lose.


[Full of designs for living here]

There will I bestow all my fruits and my goods. —xii. 18.

Full of designs for living here
Till death, the worldly man we see,
Till summon'd at the bar to' appear
Unmindful of eternity:
In vain he passes all his days,
He lives a wretch for this alone,
Earth to remove, and heap, and raise,
And leave it to his heirs unknown.
The perishable things below
He fondly reckons all his goods,
No happiness desires to know,
No treasure in those bright abodes;
Renounces the good things unseen,
The saints' ineffable delight,
The heavenly joys of righteous men,
The Good Supreme, the Saviour's sight.


[“Goods for many years laid up!”]

Thou hast much goods laid up for many years. —xii. 19.

Goods for many years laid up!”
Worldling, to the future blind,
Trust not thy deceitful hope
Of those many years behind;
Slave to appetite and sense,
Foolish soul, of life secure,
Who, when judgment calls thee hence,
Can another hour ensure?



[Hear this, thou prosperous wretched man]

But God said unto him, Thou fool, &c. —xii. 20.

Hear this, thou prosperous wretched man,
Thou fool, by fools reputed wise,
Enlarge thy wealth-augmenting plan,
Enjoy the goods this earth supplies,
Indulge thy worldly heart's desire,
Regardless of the things unseen:
But God shall soon thy soul require,
And where are all thy treasures then?


[The miser doth his riches store]

So is he that layeth up treasure for himself, &c. —xii. 21.

The miser doth his riches store
Not for his own or others' use,
Not for his God in Jesus' poor,
But for himself—to count—and lose:
Wealth for himself his confidence,
His god he makes, his sole delight
Till hurried in a moment hence
He sinks in everlasting night.


[Labour is by God enjoin'd]

Neither be ye of doubtful mind. —xii. 29.

Labour is by God enjoin'd,
God forbids our needless care,
Toil of the mistrustful mind,
Hung like meteors in the air,
Held in infidel suspense
Doubting His good providence.
But whoe'er Thy word receive,
We a firm support have found,
Free and undistracted live,
Built on an eternal ground,
Truth Divine which cannot move,
Boundless power, and endless love.



[Only on our Father's love]

Fear not, little flock; for it is your Father's, &c. —xii. 32.

Only on our Father's love
For the kingdom we depend:
Whom He doth in Christ approve
God shall keep us to the end:
Kindly number'd with His own,
Wherefore should we doubt or fear?
He who hath the work begun
Gives the grace to persevere.


[Is it not the Shepherd's voice?]

Is it not the Shepherd's voice?
Jesus, I Thy word embrace,
Fearful I in hope rejoice,
I shall gain the crowning grace
I the kingdom shall receive,
By my Father's pleasure given,
Triumph in Thy smile, and live
High-enthroned with God in heaven.


[Give us, Lord, the grace to give]

Sell that ye have, and give alms, &c. —xii. 33.

Give us, Lord, the grace to give,
Then we shall relieve Thy poor;
Then we shall from Thee receive
Gifts an hundredfold or more,
Riches which can never fail,
Safe laid up for saints above,
Treasures incorruptible,
Endless stores of heavenly love.
Selling all our happiness,
All our hopes beneath the skies,
Strangely we procure Thy grace
Without money, without price.


Gain, when grace removes us hence,
Solid and immortal good,
All our rich inheritance,
All the purchase of Thy blood.


[What we love for its own sake]

Where your treasure is, there will your heart, &c. —xii. 34.

What we love for its own sake,
Merely for ourselves desire,
We of that our treasure make,
Happiness from that require.
Pleasure, wealth, or fame, or power,
Business, books, or sports, or ease,
Grasp'd for one amusing hour,
Then our joys for ever cease.
Thou, my God, and Thou alone
My unfailing treasure be:
Thou art all good things in one;
Let me find them all in Thee.
When my whole delight Thou art,
Then I find the treasure given,
Heaven resides within my heart,
Dwells my heart with Thee in heaven.


[Jesus the power impart]

Blessed are those servants, whom the lord, &c. —xii. 37.

Jesus the power impart
Thy coming to attend,
And mark the motions of my heart,
Till life and care shall end:
That last important hour
Be ever in my sight,
Till mounting from the watchman's tower,
I greet my friends in light.



[Each should the word receive]

Speakest Thou this parable unto us, or even to all? —xii. 41.

Each should the word receive
As to himself address'd;
For what my Lord to me doth give,
He gives it to the rest:
We all through life's short day
Our God should glorify;
We all are call'd to watch and pray,
For all are born to die.


[Goods and time, and gifts, and grace]

Who then is that faithful and wise steward, &c. —xii. 42.

Goods and time, and gifts, and grace
And life, are not my own,
Nothing I from Christ possess
But for His use alone:
In His family employ'd,
A steward of His mysteries I
Daily with the word of God
His people's wants supply.
Master, Lord, on me confer
The tender zeal of love,
Then I shall my faithful care
Over Thy church approve,
Gladly all my talents spend,
With constant, wise fidelity
Serve Thy people to the end
And live and die for Thee.


[Living to dispense Thy grace]

Blessed is that servant, whom his lord, &c. —xii. 43.

Living to dispense Thy grace
A life of toil and care,
Never may I quit my place
Through slackness or despair;


Labouring with my utmost power
Thy servant at the gospel feast,
Find me at my latest hour,
And give me then to rest.


[Great the steward's labour is]

He will make him ruler over all that he hath. —xii. 44.

Great the steward's labour is,
But greater the reward,
Bliss, immeasurable bliss,
The riches of his Lord:
All He hath if Jesus give,
Who comprehends the vast delight,
He may God Himself conceive
And grasp the Infinite.


[What will it profit me to know]

That servant, which knew his lord's will, &c. —xii. 47.

What will it profit me to know,
That others know their sins forgiven,
And on to full perfection go,
And live on earth the life of heaven?
Unpardon'd if I still remain,
Nor serve my Lord with loving zeal,
My light will aggravate my pain,
And lead me to the darkest hell.


[Thou camest from above]

I am come to send fire on the earth. —xii. 49.

Thou camest from above
The fire of heavenly love
Over all the earth to spread;
Good and gracious as Thou art
Now Thy loving Spirit shed,
Now inflame my longing heart.
Answer Thine own design,
And let one spark Divine


From that sacred altar come
Kindled once on Calvary,
All my sins by love consume,
Hallow all my soul to Thee.


[Thee, Lord, Thy love constrains]

How am I straitened till it be accomplished! —xii. 50.

Thee, Lord, Thy love constrains
To save us through Thy pains,
Straiten'd by desire Thou art
To appease the wrath of God,
Life by Thy own death to' impart,
Man to wash in Thy own blood.
Thy precious sacrifice
The general pardon buys:
Hence, my God, Thou canst not rest
Till Thou lay the ransom down,
Till with grace and glory bless'd
All Thy saints obtain their crown.


[Peace with the world and peace with God]

Suppose ye that I am come to give peace on earth? —xii. 51.

Peace with the world and peace with God
We never can at once maintain;
And Christ redeems us with His blood
From friendships and connections vain,
He breaks us off from man, to join
Our souls to Him in love Divine.
Spirit of unity, come down,
Thy people from the world to part
That knit to God in Christ alone
With all our mind and all our heart,
Perfect in one Thy church may know
Why the great God appear'd below.



[Thy work, O God, they will not see]

How is it, that ye do not discern this time? —xii. 56.

Thy work, O God, they will not see
Revived in our degenerate days,
Or mark the crowds begot by Thee,
The signs of Thy converting grace,
Refusing with their sin to part,
That wilful blindness of the heart.
Sinners, your bosom sins let go,
So shall ye all the truth perceive,
Your time of visitation know,
And savingly on Christ believe,
Increase the publicans forgiven,
And live on earth the life of heaven.